In a conversation with a Muslim friend, I asserted that a specific word is used in the New Testament a certain number of times. His response was a surprise to me. He was confident that I only had an English version of the Bible. I told him I was referring to the Greek New Testament. He was under the impression that we do not have access to the Greek New Testament.
This conversation has prompted this series of blog entries. I have heard this argument from other Muslims but never really grasped the actual claim. Some Muslims believe that the Greek Bible has been redacted by the King James Bible and lost to us. I am getting the impression that this misunderstanding is not an intentional one on the part of my friends. Muslims are literally taught that King James personally changed the Bible.
Muslims are not aware that Christianity has already debunked this view. In the 19th century, the theologian Ferdinand Baur at Tubingen University in Germany declared that the Gospels were concocted in the 2nd century to present a united first-century Church. In an increasingly naturalistic Europe, liberal theologians swarmed to this view and rejected the historical viability of the New Testament. This was supposedly the death of Christianity and by 1860 the New Testament was considered completely discredited. At this time the Tubingen school of thought was considered incontrovertible.
However, a new school of thought at Cambridge University came to re-affirm the traditional dates of the books of the New Testament by applying Baur’s own methods. The Times of London wrote about the “Cambridge School” saying
“instead of opposing a mere dogmatic opposition…they met them frankly on their own grounds, and instead of arguing that their conclusions ought not to be and could not be true, they simply proved that their facts and premises were wrong”.
The Cambridge School was then completely vindicated by the discovery of several Codices (Sinaiticus and Vaticanus, specifically), and numerous papyri of the New Testament, some dating into the beginning of the 2nd century. After an overwhelming influx of textual and archeological evidence, the Tubingen school suffered a public shaming where the Department heads finally had to publicly admit that they were drastically wrong.
More recently, the book turned movie The Davinci Code has re-purposed this same argument positing (without even an attempt at evidence) that the Bible was brought into being in the 4th century by the Emporer Constantine who decided what writings were to be part of the gospel and which other books (including gnostic gospels) were to be left out. The claim is that the beliefs of the early church and the words of Christ are, once again, redacted by a King – Constantine, in this case.
These records of molecules were left in the article by mistake.
<<<
Molecular formula: C8H9NOS2
Method: DFT, the ωB97M-V functional and the def2-TZVPD basis

Last columns: bonded neighbours and bond lengths (Å).
Positions of all 21 atoms, in Å:
1 S 3.08732 1.35678 -1.19809  C9 1.585
2 S 3.47400 -0.29265 1.49162  C6 1.898, C9 1.810
3 O 0.33109 -2.22773 -0.30099  C8 1.205
4 N -0.71578 2.42121 0.21426  C10 1.358, H18 1.014, H21 0.975
5 C -0.08673 -0.00396 0.36881  C8 1.501, C10 1.569, H15 1.068, H19 1.036
6 C 3.07375 -1.28222 -0.07717  S2 1.898, C9 1.411, H14 1.097, H16 1.136
7 C -1.90176 -1.43613 -0.51971  C8 1.465, C11 1.328, H20 1.036
8 C -0.48299 -1.35013 -0.16372  O3 1.205, C5 1.501, C7 1.465
9 C 3.32039 0.09347 -0.26995  S1 1.585, S2 1.810, C6 1.411
10 C -1.15009 1.13483 0.18136  N4 1.358, C5 1.569, C12 1.365
11 C -2.75653 -0.42128 -0.46185  C7 1.328, C12 1.408, H17 1.129
12 C -2.48066 0.86188 0.04707  C10 1.365, C11 1.408, H13 1.062
13 H -3.11331 1.69916 0.20961  C12 1.062
14 H 3.71611 -2.17161 -0.04897  C6 1.097
15 H 0.82410 0.34065 -0.06899  C5 1.068
16 H 1.98642 -1.61184 -0.10166  C6 1.136
17 H -3.86264 -0.64048 -0.51380  C11 1.129
18 H -1.39043 3.16831 0.33468  N4 1.014
19 H 0.03911 0.12974 1.38828  C5 1.036
20 H -2.14034 -2.42885 -0.69715  C7 1.036
21 H 0.22900 2.66087 0.18636  N4 0.975

Calculated values
- charge = 0
- highest occupied orbital energy (eV) = -7.893
- E_LUMO (eV) = -0.4737

Atomic partial charges in e from the natural (NBO) method, atoms 1 to 2: S 0.086; S 0.090
>>>
So, you can see why, since we are dealing with very reliable documents from the 2nd century that I am surprised (and even humored) to hear that anyone is suggesting the Bible was lost by King James in 1611. My goal is not to assert that the New Testament is inspired or inerrant but that it is a historically reliable representation of what the earliest Christians believed. We will be able to demonstrate that:
- We can be confident that the Greek New Testament has not changed from what was penned by the original authors.
- We can be assured that the contemporaries of the original authors received the plurality of the New Testament as the inspired word of God.
- History demonstrates that the earliest Christians held to exactly 4 gospels that we can identify as Matthew, Mark, Luke, and John.
- The process of canonization and the recognition of which books were inspired occurred extremely early.
P (papyri) 52 is the name of a papyri fragment found in Egypt dating to the beginning of the 2nd century. It contains text from the modern book of John. Traditionally, John was written in Ephesus in the latter half of the 1st century some 800 miles away from where this piece of papyri was found. The fragment contains 2 sections of the book of John.
One is John 18:31-33.
## Between two parts of the page: molecular data
~~~
DFT (ωB97M-V/def2-TZVPD) results for a structure of composition C10H12BrNPTc.

Geometry as XYZ:
```
26
C10H12BrNPTc | the Open Molecules 2025 dataset | ωB97M-V/def2-TZVPD
Tc 1.5080 1.7930 0.2182
Br -0.3333 -3.4055 2.1009
P 0.1344 3.4208 -0.3633
N 0.6851 0.5761 1.6213
C 0.1159 1.1839 2.6826
C -0.5935 0.4535 3.6416
C 0.6345 -0.7838 1.5007
C -0.3353 -2.1013 -3.5779
C 1.0925 -1.0716 -2.0706
C -0.1147 -1.5417 2.4141
C 0.9506 -2.1278 -2.9582
C -0.7159 -0.9275 3.5104
C -0.3849 -0.2665 -2.1622
C -1.0970 -0.9893 -3.1063
H -0.6869 -2.8264 -4.3071
H -2.1023 -0.7323 -3.4397
H 1.9239 -0.7496 -1.4380
H -0.6325 0.6197 -1.5738
H 0.5951 4.7636 -0.2032
H 1.1601 -1.1981 0.6433
H -1.0443 1.0011 4.4625
H -0.3321 3.5086 -1.7112
H 1.7245 -2.8704 -3.1505
H 0.2323 2.2707 2.7147
H -1.1201 3.5276 0.3237
H -1.2639 -1.5264 4.2281
```

The gap between HOMO and LUMO (alpha / beta) is 3.34 / 3.43 eV. As for the highest occupied orbital energy (alpha / beta): -9.52 / -9.53 eV. The maximum force comes out at 3.3 eV/Å. As for the energy above the lowest of the compared OMol25 structures with the same formula, charge and spin: 48.98 kcal/mol. As for the net charge: +1. Its spin multiplicity is 4. Its expectation value of S² is 3.946.

Here are the Mulliken charges for atoms 1 to 2, given in e: Tc 0.591; Br -0.117

***

DFT (ωB97M-V/def2-TZVPD) results for a structure of composition C32H38BF6N2S5Y.

Geometry as XYZ:
```
85
C32H38BF6N2S5Y | the Open Molecules 2025 dataset | ωB97M-V/def2-TZVPD
Y -0.0522 -2.0256 0.4753
S -3.9968 -2.2391 -3.1753
S 0.9526 -0.3579 2.5908
S 2.3905 -0.7663 -0.2934
S -1.6890 -4.3811 -0.9128
S 0.1296 -2.0674 -2.5110
F -1.2493 2.1121 0.4794
F 2.1626 -3.9351 -0.8320
F -1.8952 1.5566 -1.6583
F -0.8580 -0.0186 -0.3209
F 0.3274 1.7796 -1.1452
F 0.9062 -5.0050 0.6782
N 3.2174 1.6910 0.1194
N 1.1886 2.1927 1.9505
C 0.9158 3.2649 4.1349
C 0.5539 4.5516 4.5123
C 4.0806 1.5757 -1.0618
C -2.8467 -0.5969 1.8214
C 1.8104 2.2156 -4.6546
C -3.4570 -3.9620 -3.1489
C 2.2035 4.5278 6.2591
C 0.2235 2.5886 2.9778
C -1.4699 -2.6284 2.3445
C -3.6905 -2.7329 1.1614
C -3.9248 0.0219 1.2092
C 1.9310 2.6119 4.8303
C -1.3522 -1.2115 -3.1258
C -2.6879 -1.9919 1.8088
C -2.6685 -1.3378 -2.3485
C 1.1922 5.1813 5.5733
C -3.2634 -4.6126 -1.7867
C 3.3150 1.8064 -2.3459
C 2.0614 3.2741 -3.7925
C 3.1757 2.9654 0.8310
C 2.4179 0.6999 0.4892
C 2.3213 0.9592 -4.3696
C -0.4761 -4.8451 -2.1598
C 1.7492 3.2942 1.1731
C -4.8982 -0.7320 0.5670
C 2.5722 3.2411 5.8849
C -4.7751 -2.1160 0.5584
C 1.5055 0.9433 1.6840
C 1.5969 -3.7912 0.4732
C 2.8133 3.0689 -2.6477
C 3.0694 0.7552 -3.2190
C -0.0305 -3.7606 -3.1484
B -0.9378 1.4290 -0.6847
H -5.5382 -2.7154 0.0753
H 1.6698 4.2585 -4.0117
H 2.1282 0.1287 -5.0360
H -0.8486 -5.7129 -2.7091
H -0.4839 3.2651 2.4982
H 2.7033 5.0165 7.0849
H 3.5919 3.7358 0.1870
H -3.0882 -0.3398 -2.2251
H -1.5600 -3.7136 2.4308
H 3.0061 3.9063 -1.9862
H -5.7375 -0.2522 0.0816
H -2.5867 -4.1104 -3.7856
H -4.0278 -4.2756 -1.0889
H -3.9926 1.1026 1.2225
H -1.4828 -1.4972 -4.1703
~~~
31 Pilate said to them, “Take him yourselves and judge him by your own law.” The Jews said to him, “It is not lawful for us to put anyone to death.” 32 This was to fulfill the word that Jesus had spoken to show by what kind of death he was going to die.
John 18:31-32 ESV
Even this tiny fragment confirms that Jesus told his disciples how he was going to die. When a Muslim claims that Jesus did not die on the cross and that the New Testament we have (that says he did) is not the Injeel of the early Christians they do so in the face of evidence to the contrary. However, as we will see over coming posts, this one piece of evidence is only the tip of a very large iceberg. Next post, we will look at the textual evidence that does exist.
continue to part 2